--- 1 ---
The following is a GGA-PBE calculation of a relaxed structure of CaSnS3, from Materials Project. Values from VASP.

Calculated volume: 26.4 Å³ per atom

Quantum ESPRESSO input file:
```
&SYSTEM
  ibrav = 0, nat = 20, ntyp = 3
/
ATOMIC_SPECIES
Ca 40.08 Ca.upf
Sn 118.71 Sn.upf
S 32.06 S.upf
ATOMIC_POSITIONS angstrom
Ca 0.0000 0.2817 0.0000
Ca 0.0000 4.5003 3.9273
Ca 7.0163 1.1712 3.1024
Ca 7.0163 3.6108 7.0297
Sn 2.9856 2.1210 5.7871
Sn 2.9856 2.6610 1.8598
Sn 11.0469 2.1210 5.7871
Sn 11.0469 2.6610 1.8598
S 0.0000 2.1065 5.3306
S 0.0000 2.6755 1.4033
S 2.1257 0.2611 2.0142
S 2.1257 4.5209 5.9415
S 4.5069 2.2161 7.7845
S 4.5069 2.5658 3.8572
S 7.0163 1.2152 5.7780
S 7.0163 3.5668 1.8507
S 9.5256 2.2161 7.7845
S 9.5256 2.5658 3.8572
S 11.9068 0.2611 2.0142
S 11.9068 4.5209 5.9415
CELL_PARAMETERS angstrom
14.0325 0.0000 0.0000
0.0000 4.7820 0.0000
0.0000 0.0000 7.8546
```

***

--- 2 ---
The following is a GGA-PBE calculation of a relaxed structure of CaSnS3, from Materials Project. Values from VASP.

Calculated volume: 23.6 Å³ per atom

Quantum ESPRESSO input file:
```
&SYSTEM
  ibrav = 0, nat = 10, ntyp = 3
/
ATOMIC_SPECIES
Ca 40.08 Ca.upf
Sn 118.71 Sn.upf
S 32.06 S.upf
ATOMIC_POSITIONS angstrom
Ca 0.0000 0.0000 4.0712
Ca 0.0000 0.0000 12.2135
Sn 0.0000 0.0000 0.0000
Sn 0.0000 0.0000 8.1423
S -2.1584 0.3486 6.7853
S -1.3811 -1.6949 9.4994
S 0.7773 -2.0435 6.7853
S -0.7773 2.0435 9.4994
S 1.3811 1.6949 6.7853
S 2.1584 -0.3486 9.4994
CELL_PARAMETERS angstrom
3.5395 2.0435 5.4282
-3.5395 2.0435 5.4282
0.0000 -4.0870 5.4282
```

***

--- 3 ---
The following is a GGA-PBE calculation of a relaxed structure of CaSnS3, from Materials Project. Values from VASP.

Calculated volume: 28.0 Å³ per atom

Quantum ESPRESSO input file:
```
&SYSTEM
  ibrav = 0, nat = 100, ntyp = 3
/
ATOMIC_SPECIES
Ca 40.08 Ca.upf
Sn 118.71 Sn.upf
S 32.06 S.upf
ATOMIC_POSITIONS angstrom
Ca 0.4931 4.9647 2.7161
Ca 1.7903 7.8392 6.1167
Ca 2.3769 8.1083 0.0000
Ca 3.5880 3.8938 12.6116
Ca 3.8938 10.9847 2.7325
Ca 3.9309 10.3875 9.4831
Ca 4.1851 3.9309 6.1901
Ca 4.9647 14.0796 6.0091
Ca 6.4644 2.3769 9.8790
Ca 6.7334 1.7903 2.8237
Ca 7.8392 12.7824 9.4098
Ca 8.1083 12.1957 3.2930
Ca 9.6079 0.4931 12.5951
Ca 10.3875 10.6417 12.7761
Ca 10.6417 4.1851 2.8971
Ca 10.6788 3.5880 9.3185
Ca 10.9847 10.6788 6.0255
Ca 12.1957 6.4644 6.5860
Ca 12.7824 6.7334 12.7028
Ca 14.0796 9.6079 9.3021
Sn 0.9199 5.4019 9.3914
Sn 1.0648 12.7561 7.5540
Sn 1.3533 11.7248 13.0101
Sn 1.8165 1.0648 4.2610
Sn 2.8479 1.3533 9.7171
Sn 3.9343 6.3568 3.5190
Sn 5.2077 6.3921 9.2898
Sn 5.4019 13.6527 12.6844
Sn 6.3568 10.6383 6.8120
Sn 6.3921 9.3650 12.5828
Sn 8.1805 5.2077 5.9968
Sn 8.2159 3.9343 0.2260
Sn 9.1707 0.9199 6.0984
Sn 9.3650 8.1805 2.7038
Sn 10.6383 8.2159 10.1051
Sn 11.7248 13.2193 3.1310
Sn 12.7561 13.5079 10.8470
Sn 13.2193 2.8479 6.4241
Sn 13.5079 1.8165 0.9680
Sn 13.6527 9.1707 2.8053
S 0.0631 7.3854 1.4524
S 0.8255 6.2767 11.6225
S 0.8539 1.8127 6.3969
S 1.2203 10.4882 1.9355
S 1.2880 2.0535 1.9466
S 1.5568 3.1926 10.6163
S 1.6698 10.1764 11.2334
S 1.7020 10.4460 7.6005
S 1.8127 13.7188 9.6899
S 2.0535 13.2846 5.2396
S 2.1671 5.2764 4.8889
S 2.9530 5.6683 1.4023
S 3.0756 5.8861 8.1145
S 3.1926 13.0159 0.7372
S 3.5512 8.6141 4.1797
S 4.0845 1.2203 11.8145
S 4.1266 1.7020 4.3075
S 4.3963 1.6698 7.9404
S 4.7221 8.1281 11.0536
S 4.7513 8.9762 1.1344
S 5.1654 8.6006 7.5214
S 5.2764 12.4055 8.1819
S 5.5964 4.7513 11.0134
S 5.6683 11.6197 4.6953
S 5.8861 11.4970 11.4075
S 5.9586 3.5512 0.8867
S 5.9721 5.1654 4.2284
S 6.2767 13.7472 1.7435
S 6.4445 4.7221 7.7606
S 7.1872 0.0631 11.3314
S 7.3854 14.5096 4.7454
S 8.1281 9.8506 1.1745
S 8.2959 0.8255 8.3295
S 8.6006 9.4072 10.8144
S 8.6141 11.0214 7.4727
S 8.6865 3.0756 4.8214
S 8.9043 2.9530 11.2813
S 8.9762 9.8214 4.4274
S 9.2963 2.1671 1.5958
S 9.4072 5.9721 0.9354
S 9.8214 5.5964 7.7204
S 9.8506 6.4445 4.4675
S 10.1764 12.9028 1.3544
S 10.4460 12.8706 10.8935
S 10.4882 13.3524 5.2285
S 11.0214 5.9586 10.7657
S 11.3800 1.5568 7.3233

Transcribe the whole of the entries further above word for word.

--- 1 ---
The following is a GGA-PBE calculation of a relaxed structure of CaSnS3, from Materials Project. Values from VASP.

Calculated volume: 26.4 Å³ per atom

Quantum ESPRESSO input file:
```
&SYSTEM
  ibrav = 0, nat = 20, ntyp = 3
/
ATOMIC_SPECIES
Ca 40.08 Ca.upf
Sn 118.71 Sn.upf
S 32.06 S.upf
ATOMIC_POSITIONS angstrom
Ca 0.0000 0.2817 0.0000
Ca 0.0000 4.5003 3.9273
Ca 7.0163 1.1712 3.1024
Ca 7.0163 3.6108 7.0297
Sn 2.9856 2.1210 5.7871
Sn 2.9856 2.6610 1.8598
Sn 11.0469 2.1210 5.7871
Sn 11.0469 2.6610 1.8598
S 0.0000 2.1065 5.3306
S 0.0000 2.6755 1.4033
S 2.1257 0.2611 2.0142
S 2.1257 4.5209 5.9415
S 4.5069 2.2161 7.7845
S 4.5069 2.5658 3.8572
S 7.0163 1.2152 5.7780
S 7.0163 3.5668 1.8507
S 9.5256 2.2161 7.7845
S 9.5256 2.5658 3.8572
S 11.9068 0.2611 2.0142
S 11.9068 4.5209 5.9415
CELL_PARAMETERS angstrom
14.0325 0.0000 0.0000
0.0000 4.7820 0.0000
0.0000 0.0000 7.8546
```

***

--- 2 ---
The following is a GGA-PBE calculation of a relaxed structure of CaSnS3, from Materials Project. Values from VASP.

Calculated volume: 23.6 Å³ per atom

Quantum ESPRESSO input file:
```
&SYSTEM
  ibrav = 0, nat = 10, ntyp = 3
/
ATOMIC_SPECIES
Ca 40.08 Ca.upf
Sn 118.71 Sn.upf
S 32.06 S.upf
ATOMIC_POSITIONS angstrom
Ca 0.0000 0.0000 4.0712
Ca 0.0000 0.0000 12.2135
Sn 0.0000 0.0000 0.0000
Sn 0.0000 0.0000 8.1423
S -2.1584 0.3486 6.7853
S -1.3811 -1.6949 9.4994
S 0.7773 -2.0435 6.7853
S -0.7773 2.0435 9.4994
S 1.3811 1.6949 6.7853
S 2.1584 -0.3486 9.4994
CELL_PARAMETERS angstrom
3.5395 2.0435 5.4282
-3.5395 2.0435 5.4282
0.0000 -4.0870 5.4282
```

***

--- 3 ---
The following is a GGA-PBE calculation of a relaxed structure of CaSnS3, from Materials Project. Values from VASP.

Calculated volume: 28.0 Å³ per atom

Quantum ESPRESSO input file:
```
&SYSTEM
  ibrav = 0, nat = 100, ntyp = 3
/
ATOMIC_SPECIES
Ca 40.08 Ca.upf
Sn 118.71 Sn.upf
S 32.06 S.upf
ATOMIC_POSITIONS angstrom
Ca 0.4931 4.9647 2.7161
Ca 1.7903 7.8392 6.1167
Ca 2.3769 8.1083 0.0000
Ca 3.5880 3.8938 12.6116
Ca 3.8938 10.9847 2.7325
Ca 3.9309 10.3875 9.4831
Ca 4.1851 3.9309 6.1901
Ca 4.9647 14.0796 6.0091
Ca 6.4644 2.3769 9.8790
Ca 6.7334 1.7903 2.8237
Ca 7.8392 12.7824 9.4098
Ca 8.1083 12.1957 3.2930
Ca 9.6079 0.4931 12.5951
Ca 10.3875 10.6417 12.7761
Ca 10.6417 4.1851 2.8971
Ca 10.6788 3.5880 9.3185
Ca 10.9847 10.6788 6.0255
Ca 12.1957 6.4644 6.5860
Ca 12.7824 6.7334 12.7028
Ca 14.0796 9.6079 9.3021
Sn 0.9199 5.4019 9.3914
Sn 1.0648 12.7561 7.5540
Sn 1.3533 11.7248 13.0101
Sn 1.8165 1.0648 4.2610
Sn 2.8479 1.3533 9.7171
Sn 3.9343 6.3568 3.5190
Sn 5.2077 6.3921 9.2898
Sn 5.4019 13.6527 12.6844
Sn 6.3568 10.6383 6.8120
Sn 6.3921 9.3650 12.5828
Sn 8.1805 5.2077 5.9968
Sn 8.2159 3.9343 0.2260
Sn 9.1707 0.9199 6.0984
Sn 9.3650 8.1805 2.7038
Sn 10.6383 8.2159 10.1051
Sn 11.7248 13.2193 3.1310
Sn 12.7561 13.5079 10.8470
Sn 13.2193 2.8479 6.4241
Sn 13.5079 1.8165 0.9680
Sn 13.6527 9.1707 2.8053
S 0.0631 7.3854 1.4524
S 0.8255 6.2767 11.6225
S 0.8539 1.8127 6.3969
S 1.2203 10.4882 1.9355
S 1.2880 2.0535 1.9466
S 1.5568 3.1926 10.6163
S 1.6698 10.1764 11.2334
S 1.7020 10.4460 7.6005
S 1.8127 13.7188 9.6899
S 2.0535 13.2846 5.2396
S 2.1671 5.2764 4.8889
S 2.9530 5.6683 1.4023
S 3.0756 5.8861 8.1145
S 3.1926 13.0159 0.7372
S 3.5512 8.6141 4.1797
S 4.0845 1.2203 11.8145
S 4.1266 1.7020 4.3075
S 4.3963 1.6698 7.9404
S 4.7221 8.1281 11.0536
S 4.7513 8.9762 1.1344
S 5.1654 8.6006 7.5214
S 5.2764 12.4055 8.1819
S 5.5964 4.7513 11.0134
S 5.6683 11.6197 4.6953
S 5.8861 11.4970 11.4075
S 5.9586 3.5512 0.8867
S 5.9721 5.1654 4.2284
S 6.2767 13.7472 1.7435
S 6.4445 4.7221 7.7606
S 7.1872 0.0631 11.3314
S 7.3854 14.5096 4.7454
S 8.1281 9.8506 1.1745
S 8.2959 0.8255 8.3295
S 8.6006 9.4072 10.8144
S 8.6141 11.0214 7.4727
S 8.6865 3.0756 4.8214
S 8.9043 2.9530 11.2813
S 8.9762 9.8214 4.4274
S 9.2963 2.1671 1.5958
S 9.4072 5.9721 0.9354
S 9.8214 5.5964 7.7204
S 9.8506 6.4445 4.4675
S 10.1764 12.9028 1.3544
S 10.4460 12.8706 10.8935
S 10.4882 13.3524 5.2285
S 11.0214 5.9586 10.7657
S 11.3800 1.5568 7.3233